[Assignment]
Count the lines underneath that contain the word "pattern" and give the number alone.

[Material]
<<<
(1)
Simulated PXRD pattern of KLaPdS4 for Cu Kα X-rays, from a crystal structure in OQMD, relaxed with PBE.

Main lines, low angle first (2θ = 10–80°):
- hkl 0 1 1, 2θ 18.79, d 4.723, I = 100
- hkl 2 0 0, 2θ 24.70, d 3.604, I = 45
- hkl 0 1 2, 2θ 25.65, d 3.473, I = 34
- hkl 1 0 2, 2θ 25.82, d 3.451, I = 43
- hkl 1 1 -2, 2θ 26.48, d 3.366, I = 81
- hkl 2 0 -2, 2θ 28.22, d 3.163, I = 46
- hkl 1 1 2, 2θ 30.46, d 2.935, I = 98
- hkl 0 2 0, 2θ 32.08, d 2.790, I = 52
- hkl 2 1 -2, 2θ 32.54, d 2.751, I = 68
- hkl 1 0 3, 2θ 35.27, d 2.545, I = 36
- hkl 1 0 -4, 2θ 39.77, d 2.267, I = 39
- hkl 2 2 0, 2θ 40.90, d 2.206, I = 67

Crystal structure
a b c (Å): 7.3926 5.5796 9.1014
angles (deg): 90.00 102.85 90.00
Space group P2_1 (No. 4)
Symmetry-distinct sites (fractional):
K (0.2208, 0.0000, 0.4513) x2
La (0.2377, 0.0196, 0.9472) x2
Pd (0.3002, 0.4287, 0.2084) x2
S (0.0516, 0.5132, 0.3140) x2
S (0.1233, 0.5130, 0.9710) x2
S (0.4302, 0.7066, 0.7543) x2
S (0.4915, 0.3287, 0.7824) x2

=====

(2)
Simulated PXRD pattern of SrGaPd for Cu Kα X-rays, from a crystal structure in OQMD, relaxed with PBE.

Main lines, low angle first (2θ = 10–80°):
- hkl 1 1 1, 2θ 22.66, d 3.923, I = 41
- hkl 2 0 0, 2θ 26.23, d 3.398, I = 5
- hkl 2 2 0, 2θ 37.43, d 2.403, I = 100
- hkl 3 1 1, 2θ 44.20, d 2.049, I = 20
- hkl 2 2 2, 2θ 46.28, d 1.962, I = 1
- hkl 4 0 0, 2θ 53.97, d 1.699, I = 17
- hkl 3 3 1, 2θ 59.27, d 1.559, I = 8
- hkl 4 2 0, 2θ 60.97, d 1.520, I = 2
- hkl 4 2 2, 2θ 67.53, d 1.387, I = 34
- hkl 5 1 1, 2θ 72.24, d 1.308, I = 6
- hkl 4 4 0, 2θ 79.84, d 1.201, I = 11

Crystal structure
a b c (Å): 6.7957 6.7957 6.7957
angles (deg): 90.00 90.00 90.00
Space group F-43m (No. 216)
Symmetry-distinct sites (fractional):
Sr (0.0000, 0.0000, 0.0000) x4
Ga (0.0000, 0.0000, 0.5000) x4
Pd (0.2500, 0.2500, 0.7500) x4

=====

(3)
Simulated PXRD pattern of Cs2ZrAu2S4 for Cu Kα X-rays, from a crystal structure in OQMD, relaxed with PBE.

Main lines, low angle first (2θ = 10–80°):
- hkl 0 2 0, 2θ 12.55, d 7.053, I = 31
- hkl 1 1 1, 2θ 21.51, d 4.132, I = 63
- hkl 0 4 0, 2θ 25.26, d 3.526, I = 36
- hkl 1 3 1, 2θ 28.04, d 3.182, I = 67
- hkl 2 2 0, 2θ 31.92, d 2.804, I = 100
- hkl 1 5 1, 2θ 38.09, d 2.362, I = 21
- hkl 2 0 2, 2θ 41.81, d 2.161, I = 37
- hkl 3 1 1, 2θ 47.49, d 1.915, I = 18
- hkl 2 6 0, 2θ 48.88, d 1.863, I = 43
- hkl 2 4 2, 2θ 49.47, d 1.842, I = 25
- hkl 3 3 1, 2θ 51.10, d 1.787, I = 24
- hkl 4 2 2, 2θ 70.15, d 1.342, I = 21

Crystal structure
a b c (Å): 6.1160 14.1056 6.1065
angles (deg): 90.00 90.00 90.00
Space group C222 (No. 21)
Symmetry-distinct sites (fractional):
Cs (0.2500, 0.2500, 0.2365) x4
Zr (0.0000, 0.0000, 0.5000) x2
Au (0.0000, 0.0000, 0.0000) x2
Au (0.0000, 0.5000, 0.5000) x2
S (0.2309, 0.1010, 0.7303) x8

=====

(4)
Simulated PXRD pattern of Cs2PtCl6 for Cu Kα X-rays, from a crystal structure in OQMD, relaxed with PBE.

Main lines, low angle first (2θ = 10–80°):
- hkl 1 0 1, 2θ 14.77, d 5.997, I = 100
- hkl 1 1 2, 2θ 24.20, d 3.678, I = 92
- hkl 2 0 0, 2θ 24.32, d 3.660, I = 46
- hkl 1 2 1, 2θ 28.57, d 3.124, I = 28
- hkl 2 0 2, 2θ 29.80, d 2.998, I = 29
- hkl 0 0 4, 2θ 34.31, d 2.614, I = 27
- hkl 2 2 0, 2θ 34.66, d 2.588, I = 53
- hkl 2 0 4, 2θ 42.50, d 2.127, I = 20
- hkl 1 3 2, 2θ 42.72, d 2.117, I = 40
- hkl 2 2 4, 2θ 49.57, d 1.839, I = 35
- hkl 4 0 0, 2θ 49.83, d 1.830, I = 17
- hkl 2 4 0, 2θ 56.17, d 1.638, I = 21

Crystal structure
a b c (Å): 7.3201 7.3201 10.4558
angles (deg): 90.00 90.00 90.00
Space group I4/m (No. 87)
Symmetry-distinct sites (fractional):
Cs (0.0000, 0.5000, 0.2500) x4
Pt (0.0000, 0.0000, 0.0000) x2
Cl (0.0000, 0.0000, 0.2253) x4
Cl (0.2200, 0.2347, 0.0000) x8

* * * * *

1.
Diffraction record for Li2MgMn3O8. The powder diffractogram is computed, not measured: it uses the PBE+U geometry in the Materials Project and λ = 1.5418 Å (Cu Kα).
No peak broadening, texture or thermal motion is included.

Principal peaks in the range 10° ≤ 2θ ≤ 80°, sorted by position:
- (1 1 0), 2θ 15.04, d = 5.890 Å, intensity 11.2
>>>

[Result]
4